Friday, June 19, 2009

# 1
C29H47N2O7SSi2Ta | ωB97M-V with the def2-TZVPD basis set

Its energy above the lowest of the compared OMol25 structures with the same formula, charge and spin is 2.57 kJ/mol. As for the HOMO energy: -13.467 eV. The total charge is +2. The value obtained for the electronic energy is -2803.5248 Ha.

Atoms and positions in Å:
1 Ta 0.122092 -0.033403 1.202808
2 C -0.286624 -3.382104 3.268595
3 C -0.117071 -2.038668 3.902516
4 C -0.247756 -1.864517 5.268510
5 C -0.054441 -0.609368 5.833781
6 C 0.285569 0.486959 5.054373
7 C 0.423197 0.260501 3.703416
8 N 0.204891 -0.963417 3.149752
9 N 0.746415 1.145529 2.655689
10 Si 2.063009 2.393245 2.922640
11 C 3.571591 1.388048 3.314487
12 C 2.228181 3.386416 1.375788
13 C 1.554005 3.506754 4.321028
14 H -1.346788 -3.594680 3.111396
15 H 0.100158 -4.148400 3.938321
16 H 0.228559 -3.450993 2.315405
17 H -0.482588 -2.717150 5.889502
18 H -0.161852 -0.485576 6.903851
19 H 0.433299 1.467253 5.481166
20 H 3.791667 0.657899 2.533761
21 H 3.470060 0.859518 4.264714
22 H 4.437926 2.048201 3.401746
23 H 1.394859 4.079012 1.256674
24 H 2.338287 2.799068 0.465445
25 H 3.131378 3.994394 1.482591
26 H 1.764870 3.098066 5.310100
27 H 0.500031 3.786228 4.266924
28 H 2.134279 4.429941 4.236929
29 C -0.979561 2.025471 -2.714728
30 C -1.085833 2.113823 -1.208576
31 C -0.582169 3.425398 -0.659759
32 C -2.485743 1.793739 -0.749508
33 O -0.112081 1.014429 -0.599953
34 Si 1.296734 0.480100 -1.473783
35 S 2.080081 -0.697314 0.155666
36 O 2.134370 1.813461 -1.733713
37 C 3.270294 2.065008 -2.651043
38 C 4.212649 0.874876 -2.598839
39 C 3.935847 3.318796 -2.121011
40 C 2.702012 2.281802 -4.041396
41 O 0.982257 -0.334896 -2.787823
42 C 0.606088 -1.632270 -3.355303
43 C 0.280115 -1.349385 -4.809468
44 C -0.601210 -2.160227 -2.604104
45 C 1.798682 -2.560751 -3.221098
46 H -1.648458 2.781425 -3.126870
47 H -1.299388 1.053173 -3.086107
48 H 0.022317 2.248255 -3.078899
49 H -1.203132 4.224967 -1.066002
50 H 0.450966 3.606076 -0.949604
51 H -0.674296 3.454651 0.427082
52 H -3.145076 2.511777 -1.238993
53 H -2.612645 1.908337 0.324242
54 H -2.797229 0.794487 -1.055197
55 H 4.585631 0.718218 -1.585051
56 H 5.069137 1.052523 -3.248675
57 H 3.720279 -0.036094 -2.948828
58 H 4.322911 3.155839 -1.115081
59 H 3.231053 4.150679 -2.100733
60 H 4.770047 3.592694 -2.766738
61 H 2.181939 1.391397 -4.396549
62 H 3.509708 2.506380 -4.738101
63 H 2.012090 3.126916 -4.045115
64 H -0.545918 -0.642092 -4.891871
65 H -0.007978 -2.273209 -5.311078
66 H 1.147998 -0.937169 -5.324088
67 H -1.431237 -1.450605 -2.652259
68 H -0.351409 -2.357945 -1.561757
69 H -0.933421 -3.095405 -3.055660
70 H 2.667833 -2.145210 -3.731557
71 H 1.569247 -3.523294 -3.678310
72 H 2.047909 -2.733219 -2.172771
73 O -1.939852 -0.083386 1.372190
74 C -2.007862 -1.313433 0.946929
75 O -0.833517 -1.808176 0.702680
76 C -3.219933 -2.034209 0.782986
77 C -4.434547 -1.391021 1.052076
78 C -5.642384 -2.051829 0.895588
79 C -5.573507 -3.362236 0.464470
80 O -6.589601 -4.193148 0.247283

Distemper of the Times

[The entry is interrupted by quantum chemistry results]
┌──
{"formula": "C33H33LiN8S", "method": "the ωB97M-V functional and the def2-TZVPD basis", "species": ["Li", "N", "C", "N", "C", "N", "N", "C", "N", "C", "C", "C", "C", "C", "N", "H", "H", "H", "H", "H", "H", "H", "H", "C", "C", "C", "C", "C", "C", "C", "C", "S", "C", "N", "C", "C", "C", "C", "C", "C", "C", "C", "H", "H", "H", "H", "H", "H", "H", "H", "H", "H", "H", "H", "H", "H", "H", "H", "C", "C", "C", "C", "C", "C", "C", "C", "N", "H", "H", "H", "H", "H", "H", "H", "H", "H"], "coordinates": [[8.395987, 11.190277, 13.392796], [6.638324, 11.485961, 16.171353], [7.924415, 11.292520, 16.526596], [8.214987, 11.346445, 17.823098], [9.528492, 11.099572, 18.132426], [9.889161, 11.126262, 19.431218], [10.448409, 10.804072, 17.214397], [10.049732, 10.825051, 15.961452], [8.796750, 11.074550, 15.509194], [11.075066, 10.639921, 14.980847], [12.421985, 10.656443, 15.439743], [13.438657, 10.557907, 14.512060], [13.080572, 10.362591, 13.182365], [11.743103, 10.352660, 12.810788], [10.755341, 10.554723, 13.705984], [5.946288, 11.727065, 16.879528], [6.422070, 11.780222, 15.204441], [9.168541, 11.174662, 20.141704], [10.771751, 10.709662, 19.709299], [12.584465, 10.836282, 16.494621], [14.483591, 10.632929, 14.828649], [13.857890, 10.128117, 12.444689], [11.412161, 10.241260, 11.780887], [10.451432, 15.735683, 8.304032], [11.248831, 14.629639, 9.028377], [12.501285, 14.302592, 8.235105], [11.606385, 15.091019, 10.453089], [10.363311, 13.360502, 9.042842], [9.988144, 12.791500, 7.774360], [9.234185, 11.647100, 7.638774], [8.664768, 11.065621, 8.800739], [7.584540, 9.703652, 9.022909], [7.716453, 9.953401, 10.774008], [8.491549, 10.939896, 11.185390], [9.025237, 11.605213, 10.101031], [9.857912, 12.761346, 10.193076], [7.084055, 9.047045, 11.759137], [6.553908, 7.798876, 11.388168], [5.967247, 6.947808, 12.320255], [5.877289, 7.327913, 13.653382], [6.480078, 8.549345, 14.008211], [7.067271, 9.424395, 13.124338], [11.122121, 16.602678, 8.161582], [9.585067, 16.028762, 8.866950], [10.150931, 15.413700, 7.317313], [13.186878, 15.162066, 8.231176], [12.290536, 14.035663, 7.170236], [13.049948, 13.439764, 8.642201], [12.212703, 16.024353, 10.377213], [12.217630, 14.369696, 11.004483], [10.716279, 15.369762, 11.031483], [10.396216, 13.293995, 6.897790], [8.991059, 11.268860, 6.650650], [10.104820, 13.197907, 11.158648], [6.640496, 7.443659, 10.359014], [5.574665, 5.997289, 11.986521], [5.422700, 6.670374, 14.392030], [6.516013, 8.915553, 15.028430], [5.541460, 14.634237, 13.139116], [6.901334, 15.285283, 13.269185], [7.125335, 16.652509, 13.172274], [8.395729, 17.208623, 13.327846], [9.478531, 16.371123, 13.564369], [9.370539, 15.001117, 13.703475], [10.456621, 14.060564, 14.149900], [8.023617, 14.345265, 13.461356], [7.911173, 13.116763, 13.407282], [4.774410, 15.376786, 12.900483], [5.205089, 14.158280, 14.053486], [5.532342, 13.884758, 12.361630], [6.244621, 17.271112, 12.953606], [8.535809, 18.282026, 13.292204], [10.460260, 16.834900, 13.689879], [11.423348, 14.624128, 14.180371], [10.582278, 13.255692, 13.429223], [10.240212, 13.659147, 15.146949]], "atomic_forces_ev_per_a": [[-0.3, 0.6, 0.0], [-0.8, 0.3, -0.4], [-0.4, 0.5, -1.0], [1.7, -0.3, 1.4], [-2.0, -0.2, -2.2], [0.4, 0.0, 1.4], [0.2, 0.2, 2.2], [-2.9, 0.7, -0.8], [1.4, -0.5, 1.4], [2.3, 0.0, -0.2], [-0.3, 0.3, -0.5], [-0.3, 0.0, 0.6], [0.4, -0.6, -0.9], [-0.3, 0.5, 0.8], [0.0, -0.5, -1.1], [0.8, -0.1, -0.3], [0.6, -0.2, 0.4], [0.1, 0.0, -0.5], [-0.4, 0.2, -0.4], [0.1, -0.1, -0.2], [-0.3, -0.1, -0.2], [-0.4, 0.3, 0.1], [0.2, 0.0, 0.1], [1.3, 0.2, 0.1], [-0.9, -0.7, 0.3], [0.7, -0.2, -0.8], [0.3, 0.9, -0.4], [-0.9, -0.8, -0.6], [0.9, 0.5, 0.8], [-0.9, -0.1, 0.7], [1.1, 0.9, 1.0], [0.6, 0.8, 0.4], [0.8, 0.3, 1.3], [-0.8, -1.1, -1.5], [-0.1, 0.2, -1.3], [0.1, -0.2, -0.4], [-0.7, -1.0, 0.4], [0.3, 0.2, -0.5], [-0.2, 0.1, -0.2], [0.7, 0.7, 0.1], [-0.6, -0.7, 0.4], [1.0, 1.3, -1.2], [-0.3, -0.1, 0.1], [-0.4, 0.2, 0.3], [-0.2, -0.1, -0.3], [-0.1, -0.1, 0.0], [0.1, 0.3, 0.8], [-0.2, 0.2, 0.1], [-0.3, -0.5, 0.0], [-0.3, -0.1, -0.1], [0.1, -0.3, 0.0], [-0.3, -0.3, 0.0], [0.0, 0.0, 0.1], [-0.3, -0.3, 0.1], [-0.1, 0.0, 0.0], [-0.1, -0.1, 0.0], [0.0, 0.1, 0.0], [-0.3, -0.5, 0.4], [0.2, 1.1, -0.2], [0.0, 0.6, 0.0], [-0.9, -1.2, 0.1], [-0.2, 1.0, -0.4], [0.9, -1.0, 0.6], [-1.1, 0.4, -0.1], [0.8, 1.5, -0.5], [1.2, 2.5, 0.1], [-0.5, -3.9, 0.3], [0.0, 0.2, -0.1], [0.1, -0.4, 0.4], [0.1, -0.4, -0.2], [0.3, 0.1, 0.1], [0.0, 0.1, -0.1], [0.1, 0.0, 0.1], [-0.4, -0.3, 0.2], [-0.1, -0.4, 0.1], [0.0, -0.2, -0.1]], "gap_ev": [2.8, 2.8], "charge": -2, "multiplicity": 1}
└──

If there is a temper of the times, there is a distemper of the times. In the American Church today, our distemper is factionalism, a work of the flesh posing as spiritual strength.

Most American Christians accept as a matter of course that "we" are surrounded by enemies: secularists, "liberals," socialists, a legion of evil-doers and evil-thinkers who are intent on destroying "Christian values," and determined to take our God-given liberty from us. To a Church which thinks itself besieged, combativeness seems the highest spiritual virtue, and those most violent in their enmity are hailed as the greatest defenders of the faith.

Church, grow up. We are surrounded by enemies because we have invaded their kingdom. Their realm is imperiled, not the one we belong to. Like the Allied armies after D-Day, we have enemies on all sides of us...because we are advancing into their territory. It's a dangerous place to be, and in human combat can go either way: but the Church' war cannot. Established by God Himself, empowered by His Spirit, chosen and prepared as the bride for His Son, the Church WILL NOT be defeated or destroyed. If that's your fear, skip ahead and read the last chapter of the Book.

Church, grow up. We are not called to be God's defenders: He is ours. God is our Savior: by what mad pride do you, powerless transient vapor, consider that The One Almighty and Eternal needs to be saved by YOU !?! In this battle, we must stand with God: but it's for OUR protection, not His.

Church, grow up. We indeed have liberty in God: but it's not the kind that can be taken away by the world's evil forces. In fact, our liberty is exactly from "the world's evil forces:" sin, hopelessness, and death. If you're fighting to keep "them" from taking your God-given rights, you're operating on the Declaration of Independence' idea of "liberty," not scripture's. When Paul wrote about "liberty," he was not urging Christians to fight for their "rights." Church, get serious.

Someone pasted quantum chemistry results at this point.
Entry 1:
Computed, not measured: one molecule with the formula C2H5NO, with ωB97M-V with the def2-TZVPD basis set.

Calculated values
structure (SMILES) = C/C=[NH+]/[O-]
energy relative to the best compared isomer or geometry (same formula, charge and spin) = 3.798 eV
total energy = -5689.4313 eV
highest occupied orbital energy = -8.9 eV
orbital gap = 9.68 eV

Cartesian coordinates (Å):
C (-0.469, -0.038, 0.235)
C (0.963, -0.493, 0.436)
N (-1.045, 0.616, -0.749)
O (-2.202, 1.216, -1.062)
H (-1.191, -0.354, 0.924)
H (1.769, 0.337, 0.529)
H (1.396, -1.197, -0.325)
H (1.056, -1.082, 1.385)
H (-0.276, 0.995, -1.373)

***

Entry 2:
Computed, not measured: one molecule with the formula C2H5NO, with ωB97M-V with the def2-TZVPD basis set.

Calculated values
structure (SMILES) = C=[N+](C)[O-]
energy relative to the best compared isomer or geometry (same formula, charge and spin) = 4.490 eV
total energy = -5688.7396 eV
highest occupied orbital energy = -8.7 eV
orbital gap = 9.59 eV

Cartesian coordinates (Å):
C (-0.694, -1.155, -0.437)
C (0.854, 0.964, 0.100)
N (-0.570, -0.066, 0.247)
O (-1.365, 0.254, 1.150)
H (-1.672, -1.653, -0.325)
H (0.004, -1.683, -1.009)
H (1.568, 0.360, 0.754)
H (0.612, 2.062, 0.325)
H (1.263, 0.916, -0.806)

***

Entry 3:
Computed, not measured: one molecule with the formula C2H5NO, with ωB97M-V with the def2-TZVPD basis set.

Calculated values
structure (SMILES) = C=[N+](C)[O-]
energy relative to the best compared isomer or geometry (same formula, charge and spin) = 5.593 eV
total energy = -5687.6369 eV
highest occupied orbital energy (spin up / spin down) = -8.9 / -8.9 eV
orbital gap (spin up / spin down) = 9.23 / 9.23 eV

Cartesian coordinates (Å):
C (-0.194, -1.327, 0.088)
C (0.500, 0.955, -0.007)
N (-0.401, -0.106, -0.100)
O (-1.964, 0.478, -0.309)
H (-0.957, -2.168, -0.084)
H (0.709, -1.553, 0.462)
H (1.578, 0.662, 0.016)
H (0.565, 1.432, -0.997)
H (0.163, 1.626, 0.930)

***

Entry 4:
Computed, not measured: a 2-piece molecular cluster, C2H5NO overall, with ωB97M-V with the def2-TZVPD basis set.

Calculated values
structure (SMILES) = C=N.C=O
energy relative to the best compared isomer or geometry (same formula, charge and spin) = 3.495 eV
total energy = -5689.7349 eV
highest occupied orbital energy = -9.8 eV
orbital gap = 10.03 eV

Cartesian coordinates (Å):
C (-4.959, 0.839, 3.577)
N (-4.698, 1.563, 4.559)
H (-5.652, 1.056, 2.719)
H (-4.361, -0.022, 3.405)
H (-5.494, 2.008, 4.867)
O (4.754, -1.024, -4.697)
C (5.034, -1.314, -3.489)
H (5.194, -2.361, -3.222)
H (4.708, -0.582, -2.634)

***

Entry 5:
Computed, not measured: one molecule with the formula C2H5NO, with ωB97M-V with the def2-TZVPD basis set.

Calculated values
structure (SMILES) = CNC=O
energy relative to the best compared isomer or geometry (same formula, charge and spin) = 0.624 eV
total energy = -5692.6057 eV
highest occupied orbital energy = -9.9 eV
orbital gap = 10.81 eV

Cartesian coordinates (Å):
C (0.310, -1.086, 0.691)
N (0.461, 0.214, 0.330)
The piece goes on.

We are not in danger of being destroyed...unless you disbelieve God's promises and His scripture. We are not called to defend God...unless you think your strength is greater than His. We are not in danger of losing our liberty...unless you think our culture's idea of liberty is truer than God's. Combativeness and enmity are not spiritual strengths; they are manifestations of pride and disbelief. They are exactly what scripture says they are, works of the flesh contrary to the Spirit (Galatians 5:16-21).

Church, grow up. Church, REPENT !!